[Given]
<<<
Run P
LiMoP2O7 | GGA+U | optimized geometry

Output
The value obtained for the piezoelectric modulus e_max is 0.3 C/m².

The structure in CIF format:
```
data_LiMoP2O7
_chemical_formula_sum 'Li2 Mo2 P4 O14'
_symmetry_space_group_name_H-M 'C 1 2 1'
_symmetry_Int_Tables_number 5
_cell_length_a 6.714
_cell_length_b 8.478
_cell_length_c 4.596
_cell_angle_alpha 90.00
_cell_angle_beta 103.13
_cell_angle_gamma 90.00
loop_
_symmetry_equiv_pos_as_xyz
'x,y,z'
'-x,y,-z'
'x+1/2,y+1/2,z'
'-x+1/2,y+1/2,-z'
loop_
_atom_site_label
_atom_site_fract_x
_atom_site_fract_y
_atom_site_fract_z
Li1 0.000 0.000 0.000
Mo1 0.000 0.374 0.000
P1 0.206 0.711 0.412
O1 0.000 0.773 0.500
O2 0.135 0.192 0.290
O3 0.175 0.553 0.254
O4 0.246 0.848 0.211
```

=====

Run Q
LiMoP2O7 | GGA+U | optimized geometry

The structure in CIF format:
```
data_LiMoP2O7
_chemical_formula_sum 'Li2 Mo2 P4 O14'
_symmetry_space_group_name_H-M 'P 1 21 1'
_symmetry_Int_Tables_number 4
_cell_length_a 5.005
_cell_length_b 8.597
_cell_length_c 7.145
_cell_angle_alpha 90.00
_cell_angle_beta 108.71
_cell_angle_gamma 90.00
loop_
_symmetry_equiv_pos_as_xyz
'x,y,z'
'-x,y+1/2,-z'
loop_
_atom_site_label
_atom_site_fract_x
_atom_site_fract_y
_atom_site_fract_z
Li1 0.185 0.000 0.167
Mo1 0.209 0.354 0.225
P1 0.216 0.068 0.581
P2 0.403 0.676 0.034
O1 0.043 0.534 0.360
O2 0.141 0.151 0.382
O3 0.206 0.818 0.997
O4 0.238 0.522 0.009
O5 0.392 0.922 0.579
O6 0.399 0.175 0.091
O7 0.409 0.194 0.738
```

=====

Run R
LiMoP2O7 | GGA+U | optimized geometry

The structure in CIF format:
```
data_LiMoP2O7
_chemical_formula_sum 'Li2 Mo2 P4 O14'
_symmetry_space_group_name_H-M 'P -1'
_symmetry_Int_Tables_number 2
_cell_length_a 6.562
_cell_length_b 6.583
_cell_length_c 6.967
_cell_angle_alpha 84.04
_cell_angle_beta 67.03
_cell_angle_gamma 82.22
loop_
_symmetry_equiv_pos_as_xyz
'x,y,z'
'-x,-y,-z'
loop_
_atom_site_label
_atom_site_fract_x
_atom_site_fract_y
_atom_site_fract_z
Li1 0.199 0.011 0.330
Mo1 0.405 0.349 0.724
P1 0.150 0.612 0.149
P2 0.281 0.864 0.736
O1 0.089 0.406 0.704
O2 0.123 0.953 0.633
O3 0.131 0.778 0.964
O4 0.271 0.411 0.047
O5 0.276 0.709 0.254
O6 0.427 0.017 0.760
O7 0.441 0.674 0.623
```

=====

Which structure is most stable? run Q, by 0.022 eV/atom over the runner-up.

=====

Run P
LiMoP4O12 | GGA+U | optimized geometry

The structure in CIF format:
```
data_LiMoP4O12
_chemical_formula_sum 'Li4 Mo4 P16 O48'
_symmetry_space_group_name_H-M 'P 1 21/c 1'
_symmetry_Int_Tables_number 14
_cell_length_a 7.619
_cell_length_b 13.220
_cell_length_c 12.209
_cell_angle_alpha 90.00
_cell_angle_beta 128.10
_cell_angle_gamma 90.00
loop_
_symmetry_equiv_pos_as_xyz
'x,y,z'
'-x,-y,-z'
'-x,y+1/2,-z+1/2'
'x,-y+1/2,z+1/2'
loop_
_atom_site_label
_atom_site_fract_x
_atom_site_fract_y
_atom_site_fract_z
Li1 0.195 0.213 0.048
Mo1 0.429 0.724 0.516
P1 0.055 0.129 0.259
P2 0.158 0.591 0.742
P3 0.310 0.642 0.216
P4 0.418 0.078 0.726
O1 0.047 0.128 0.892
O2 0.062 0.651 0.170
O3 0.112 0.646 0.396
O4 0.113 0.012 0.293
O5 0.265 0.190 0.334
O6 0.275 0.657 0.869
O7 0.302 0.152 0.610
O8 0.308 0.532 0.162
O9 0.321 0.718 0.130
O10 0.331 0.553 0.716
O11 0.424 0.095 0.851
O12 0.483 0.653 0.373
```

=====

Run Q
LiMoP4O12 | GGA+U | optimized geometry

The structure in CIF format:
```
data_LiMoP4O12
_chemical_formula_sum 'Li4 Mo4 P16 O48'
_symmetry_space_group_name_H-M 'P b c n'
_symmetry_Int_Tables_number 60
_cell_length_a 13.000
_cell_length_b 8.352
_cell_length_c 9.602
_cell_angle_alpha 90.00
_cell_angle_beta 90.00
_cell_angle_gamma 90.00
loop_
_symmetry_equiv_pos_as_xyz
'x,y,z'
'-x,-y,-z'
'-x+1/2,-y+1/2,z+1/2'
'x+1/2,y+1/2,-z+1/2'
'x+1/2,-y+1/2,-z'
'-x+1/2,y+1/2,z'
'-x,y,-z+1/2'
'x,-y,z+1/2'
loop_
_atom_site_label
_atom_site_fract_x
_atom_site_fract_y
_atom_site_fract_z
Li1 0.000 0.004 0.250
Mo1 0.000 0.371 0.750
P1 0.137 0.175 0.504
P2 0.154 0.465 0.009
O1 0.065 0.184 0.628
O2 0.074 0.458 0.124
O3 0.103 0.093 0.376
O4 0.131 0.369 0.880
O5 0.178 0.353 0.467
O6 0.239 0.095 0.571
```

=====

Run R
>>>
[Activity]
Could you count the lines above that contain the word "O6" and give the number alone?
[Written answer]
4